Listing:
/*
(1)
# C2H9N3O2S

C2H9N3O2S as an isolated structure at a distorted geometry (wB97M-V/def2-TZVPD, the OMol25 dataset).

XYZ file:
```
17
Properties=species:S:1:pos:R:3:nbo_charge:R:1
O -0.4277 -2.2057 -0.0433 -0.92
H 1.7422 0.5951 -0.4414 0.20
H 1.1958 2.0766 0.4398 0.20
H -1.4424 1.8289 1.2227 0.21
H 0.3752 -0.5657 -2.8859 0.40
O -2.1142 -1.1148 -1.4653 -0.89
C -1.2240 0.7794 0.8539 -0.48
C 1.0481 1.0498 0.3083 -0.10
H -0.7837 0.2104 1.7315 0.17
S -0.7563 -1.2247 -1.0331 2.14
H 1.0339 -2.1455 -2.4098 0.42
H 1.1521 1.0515 2.3061 0.35
N 0.2095 -1.4342 -2.4774 -1.04
H -2.1278 0.2076 0.5896 0.24
N 1.4251 0.4246 1.5836 -0.84
H 0.9555 -0.4253 1.8620 0.37
N -0.2613 0.8921 -0.1414 -0.42
```

Computed properties:
Relative energy (zero: lowest compared OMol25 entry of this formula, charge and spin): 234.6 kJ/mol
E_LUMO (spin up / spin down): -0.94 / -0.93 eV
HOMO level (spin up / spin down): -9.081 / -9.079 eV
Kohn-Sham gap (spin up / spin down): 8.15 / 8.15 eV

=====

(2)
# C21H25F3PS2

A 4-piece molecular cluster, C21H25F3PS2 overall at a distorted geometry (wB97M-V/def2-TZVPD, the OMol25 dataset).

XYZ file:
```
52
Properties=species:S:1:pos:R:3:nbo_charge:R:1
H -4.8502 -7.0065 0.5573 0.23
H -0.7851 -5.6927 0.8652 0.23
H -1.9557 -0.4679 -3.2010 0.27
C 0.1195 -1.5625 -1.3635 -0.52
P -4.0523 -1.8108 -2.6678 0.76
S -4.6932 -2.9198 -0.9274 -0.21
H -1.8337 -2.2941 -0.4170 0.25
F 0.7084 1.0464 -0.1644 -0.34
F -2.7755 -6.1405 -0.7401 -0.34
H -3.6344 -2.8265 -3.6436 0.09
C -4.0212 -7.0050 2.5546 -0.18
H -1.5484 -3.0655 -2.1445 0.22
C -3.9821 -6.8018 1.1752 -0.30
C -1.6860 -6.0545 1.3497 -0.29
H 0.6743 9.2539 0.0991 0.22
H 1.2087 8.2854 -2.1251 0.22
H 2.9037 -0.2774 -0.5736 0.22
C 4.2883 1.0571 0.4150 -0.18
C 4.4237 2.2451 1.1349 -0.23
C 2.0433 2.6245 0.9710 -0.29
S 1.1956 -3.0722 -1.8238 -0.06
C 3.0283 0.6477 -0.0205 -0.30
H -4.9270 -7.3803 3.0244 0.23
C 2.8107 6.8003 1.0605 0.39
C -2.8942 -6.7241 3.3310 -0.22
H 1.6996 8.2753 2.1525 0.23
C 1.9308 7.8710 1.1726 -0.28
C 1.6595 7.8676 -1.2275 -0.23
H 3.8151 5.4221 -0.2412 0.23
H 5.4057 2.5630 1.4786 0.23
C -2.8142 -6.3308 0.5854 0.37
C -2.4007 -0.8905 -2.1982 -0.68
C 1.9180 1.4367 0.2589 0.39
C 2.5399 6.7878 -1.3302 -0.19
H 0.5971 -3.5542 -3.0296 0.13
F 3.3667 6.2854 2.1652 -0.33
H -3.9265 -4.1232 -0.8064 0.25
H -2.5791 0.0234 -1.4837 0.29
C 3.1226 6.2553 -0.1802 -0.29
C 1.3567 8.4109 0.0219 -0.19
H -2.9266 -6.8785 4.4074 0.23
H -0.8537 -6.0251 3.3372 0.23
H 0.4124 -0.6622 -2.0618 0.25
H 0.3212 -1.3746 -0.2238 0.27
C -1.7283 -6.2469 2.7303 -0.18
H 2.7712 6.3638 -2.3042 0.22
H 1.1618 3.2242 1.1731 0.23
C -1.4352 -2.0704 -1.5145 -0.44
H 3.4093 3.9517 1.9807 0.24
H 5.1635 0.4511 0.1935 0.22
H -5.0537 -0.9198 -3.1980 0.11
C 3.3018 3.0287 1.4164 -0.19
```

Computed properties:
E_LUMO: -4.32 eV
HOMO level: -10.721 eV
Charge: +1
Kohn-Sham gap: 6.40 eV

=====

(3)
# C7H10

A single C7H10 molecule at a distorted geometry (wB97M-V/def2-TZVPD, the OMol25 dataset).

XYZ file:
```
17
Properties=species:S:1:pos:R:3:nbo_charge:R:1
C 1.6311 0.0472 -0.7968 -0.43
H -0.6099 1.7900 -0.6240 0.21
H -0.8268 1.6890 1.1260 0.24
H 2.3854 -0.4585 -1.3822 0.24
H -2.2038 1.4094 0.0413 0.22
H 1.5848 0.0407 2.8246 0.19
H 0.0813 -0.4441 1.8046 0.16
C -0.8242 -0.2155 -0.0317 -0.04
H -2.2027 -0.3780 -1.5811 0.19
H 1.4665 1.0749 -1.1050 0.24
C -1.5356 -0.9103 -0.9274 -0.29
H -1.3802 -1.9697 -1.1107 0.20
C 0.5115 -0.7344 -0.3544 -0.20
C 1.7478 -0.0844 0.6715 -0.09
H 0.5782 -1.8150 -0.3762 0.23
C 1.1571 -0.1626 1.8467 -0.41
C -1.1297 1.2458 0.1713 -0.65
```

Computed properties:
*/

Work order:
Next, print only the last part of the data further up, starting with the line that has "0.0991 0.22".

Completed:
H 0.6743 9.2539 0.0991 0.22
H 1.2087 8.2854 -2.1251 0.22
H 2.9037 -0.2774 -0.5736 0.22
C 4.2883 1.0571 0.4150 -0.18
C 4.4237 2.2451 1.1349 -0.23
C 2.0433 2.6245 0.9710 -0.29
S 1.1956 -3.0722 -1.8238 -0.06
C 3.0283 0.6477 -0.0205 -0.30
H -4.9270 -7.3803 3.0244 0.23
C 2.8107 6.8003 1.0605 0.39
C -2.8942 -6.7241 3.3310 -0.22
H 1.6996 8.2753 2.1525 0.23
C 1.9308 7.8710 1.1726 -0.28
C 1.6595 7.8676 -1.2275 -0.23
H 3.8151 5.4221 -0.2412 0.23
H 5.4057 2.5630 1.4786 0.23
C -2.8142 -6.3308 0.5854 0.37
C -2.4007 -0.8905 -2.1982 -0.68
C 1.9180 1.4367 0.2589 0.39
C 2.5399 6.7878 -1.3302 -0.19
H 0.5971 -3.5542 -3.0296 0.13
F 3.3667 6.2854 2.1652 -0.33
H -3.9265 -4.1232 -0.8064 0.25
H -2.5791 0.0234 -1.4837 0.29
C 3.1226 6.2553 -0.1802 -0.29
C 1.3567 8.4109 0.0219 -0.19
H -2.9266 -6.8785 4.4074 0.23
H -0.8537 -6.0251 3.3372 0.23
H 0.4124 -0.6622 -2.0618 0.25
H 0.3212 -1.3746 -0.2238 0.27
C -1.7283 -6.2469 2.7303 -0.18
H 2.7712 6.3638 -2.3042 0.22
H 1.1618 3.2242 1.1731 0.23
C -1.4352 -2.0704 -1.5145 -0.44
H 3.4093 3.9517 1.9807 0.24
H 5.1635 0.4511 0.1935 0.22
H -5.0537 -0.9198 -3.1980 0.11
C 3.3018 3.0287 1.4164 -0.19
```

Computed properties:
E_LUMO: -4.32 eV
HOMO level: -10.721 eV
Charge: +1
Kohn-Sham gap: 6.40 eV

=====

(3)
# C7H10

A single C7H10 molecule at a distorted geometry (wB97M-V/def2-TZVPD, the OMol25 dataset).

XYZ file:
```
17
Properties=species:S:1:pos:R:3:nbo_charge:R:1
C 1.6311 0.0472 -0.7968 -0.43
H -0.6099 1.7900 -0.6240 0.21
H -0.8268 1.6890 1.1260 0.24
H 2.3854 -0.4585 -1.3822 0.24
H -2.2038 1.4094 0.0413 0.22
H 1.5848 0.0407 2.8246 0.19
H 0.0813 -0.4441 1.8046 0.16
C -0.8242 -0.2155 -0.0317 -0.04
H -2.2027 -0.3780 -1.5811 0.19
H 1.4665 1.0749 -1.1050 0.24
C -1.5356 -0.9103 -0.9274 -0.29
H -1.3802 -1.9697 -1.1107 0.20
C 0.5115 -0.7344 -0.3544 -0.20
C 1.7478 -0.0844 0.6715 -0.09
H 0.5782 -1.8150 -0.3762 0.23
C 1.1571 -0.1626 1.8467 -0.41
C -1.1297 1.2458 0.1713 -0.65
```

Computed properties: